Being in prison can take a serious toll on an individual’s psychological well-being. New conditions often develop, and pre-existing conditions may worsen. Sadly, many justice-involved individuals are released back into the community without ever receiving any type of treatment.

Mental Health Concerns Among Incarcerated Individuals

According to the American Psychological Association, 64% of incarcerated individuals in jail, 54% of incarcerated individuals in state prison, and 45% of incarcerated individuals in federal prison report mental health concerns. Substance abuse is rampant among incarcerated individuals as well. Quite often, mental health issues and substance abuse issues occur alongside one another. The American Psychological Association estimates that between 10% and 25% of incarcerated individuals have a “serious mental illness,” such as schizophrenia. In the general population, it’s estimated that about 5% of individuals have a serious mental illness. Many other incarcerated individuals may experience depressive disorders, anxiety disorders, or PTSD. For some, these issues may be pre-existing conditions. For others, the issues may have started after their incarcerations. Quite often, disorders go unrecognized by people in prison and prison staff. The response of individuals with mental health issues to the prison system may simply seem like a “normal” reaction to an institutionalized setting; this assumption prevents any type of acknowledgement of the problem, letting people with mental health issues suffer in silence. Black individuals are more likely to be incarcerated before trial, to fare worse in plea agreements that might have otherwise kept them out of prison, to receive the death penalty, and to be arrested and charged with drug crimes. While some people feel that increasing the number of people behind bars keeps communities safer, the statistics don’t necessarily show a decrease in crime. For example, in 2014 there were 10 times as many people in prison for drugs than there were 30 or 40 years ago, but the number of drug-related crimes hadn’t decreased.

The Toll Prison Takes on Psychological Well-Being

 Incarceration takes a serious toll on mental health for several reasons:

They Are No Longer Considered Productive Members of Society

People can experience a loss of purpose when they’re locked up. Prisons are not obligated to pay their occupants a minimum wage for labor, and they can charge high fees for phone calls with families. Thus, it can be difficult for a justice-involved person to contribute to their family’s financial or emotional needs. A perceived lack of purpose in life can take a serious toll on anyone’s psychological well-being.

Their Identities Get Stripped

When someone is incarcerated, they are no longer known for their profession, such as being a musician or a delivery driver, and they aren’t known for their skills, talents, or knowledge. The loss of sense of self can be quite disorienting, confusing, and troublesome.

Inserted here: calculated crystals:
For NdLu2Sn7, a DFT-relaxed cell (GGA-PBE, OQMD) gives the simulated X-ray diffraction stick pattern in this record (λ = 1.5418 Å (Cu Kα)).
No peak broadening, texture or thermal motion is included.

Structural model:
```
data_NdLu2Sn7
_chemical_formula_sum 'Nd2 Lu4 Sn14'
_space_group_name_H-M_alt 'C m m m'
_space_group_IT_number 65
_space_group_name_Hall '-C 2 2'
_cell_length_a 4.4238
_cell_length_b 26.3522
_cell_length_c 4.4815
_cell_angle_alpha 90.00
_cell_angle_beta 90.00
_cell_angle_gamma 90.00
loop_
_atom_site_label
_atom_site_fract_x
_atom_site_fract_y
_atom_site_fract_z
Nd1 0.0000 0.0000 0.0000
Lu1 0.0000 0.3084 0.5000
Sn1 0.0000 0.0999 0.5000
Sn2 0.0000 0.2105 0.0000
Sn3 0.0000 0.3994 0.0000
Sn4 0.0000 0.5000 0.5000
```

The 10 most intense peaks (2θ from 10° to 80°), low angle first:
hkl  2theta  d_spacing  Rel. int.
1 5 1  33.1  2.703  1000
0 10 0  34.0  2.635  208
0 0 2  40.2  2.241  154
2 0 0  40.8  2.212  149
0 10 2  53.7  1.707  117
2 10 0  54.1  1.694  113
1 15 1  60.3  1.534  148
1 5 3  68.7  1.367  138
3 5 1  69.4  1.354  123
2 10 2  69.6  1.351  109



For Pr3NdSi4, a DFT-relaxed cell (GGA-PBE, OQMD) gives the simulated X-ray diffraction stick pattern in this record (λ = 1.5418 Å (Cu Kα)).
No peak broadening, texture or thermal motion is included.

Structural model:
```
data_Pr3NdSi4
_chemical_formula_sum 'Pr3 Nd1 Si4'
_space_group_name_H-M_alt 'P 1 m 1'
_space_group_IT_number 6
_cell_length_a 5.9635
_cell_length_b 3.9633
_cell_length_c 8.3051
_cell_angle_alpha 90.00
_cell_angle_beta 90.09
_cell_angle_gamma 90.00
loop_
_space_group_symop_operation_xyz
'x,y,z'
'x,-y,z'
loop_
_atom_site_label
_atom_site_fract_x
_atom_site_fract_y
_atom_site_fract_z
Pr1 0.0000 0.0000 0.0000
Pr2 0.2282 0.5000 0.3591
Pr3 0.7280 0.0000 0.5004
Nd1 0.4999 0.5000 0.8593
Si1 0.2358 0.0000 0.6457
Si2 0.4933 0.0000 0.1434
Si3 0.7343 0.5000 0.2140
Si4 0.9937 0.5000 0.7152
```

The 10 most intense peaks (2θ from 10° to 80°), low angle first:
hkl  2theta  d_spacing  Rel. int.
1 0 -2  26.1  3.408  313
1 1 0  27.0  3.301  380
1 1 -1  29.1  3.067  1000
0 1 2  31.2  2.867  736
2 0 1  31.9  2.806  826
1 1 2  34.7  2.584  437
1 0 -3  35.8  2.511  494
2 1 -1  39.3  2.290  405
2 1 -3  50.5  1.806  336
2 2 1  56.9  1.619  317



For TmTlSeO, a DFT-relaxed cell (GGA-PBE, OQMD) gives the simulated X-ray diffraction stick pattern in this record (λ = 1.5418 Å (Cu Kα)).
No peak broadening, texture or thermal motion is included.

Structural model:
```
data_TmTlSeO
_chemical_formula_sum 'Tm4 Tl4 Se4 O4'
_space_group_name_H-M_alt 'C 1 2 1'
_space_group_IT_number 5
_cell_length_a 5.5133
_cell_length_b 5.5041
_cell_length_c 12.2793
_cell_angle_alpha 90.00
_cell_angle_beta 99.06
_cell_angle_gamma 90.00
loop_
_space_group_symop_operation_xyz
'x,y,z'
'-x,y,-z'
'x+1/2,y+1/2,z'
'-x+1/2,y+1/2,-z'
loop_
_atom_site_label
_atom_site_fract_x
_atom_site_fract_y
_atom_site_fract_z
Tm1 0.2152 0.0000 0.4134
Tl1 0.2272 0.6549 0.8881
Se1 0.1869 0.1574 0.7585
O1 0.0000 0.2572 0.5000

They’re Separated From Loved Ones

They can no longer be with their friends and families. Missing their loved ones and not being part of their daily lives increases feelings of isolation and loneliness. Additionally, they can’t be there for their loved ones, so they may worry about those they can’t support, such as an elderly family member. They may also experience a lot of grief over missing out on a child’s activities or not being able to be there for a partner.

Physical Environment Adds to Stress

Concrete walls, little natural night, and a lack of overall stimulation can take a serious toll on mental health. People in prison have few ways to relieve stress. And their sterile environment is likely to fuel boredom, which can be quite stressful in itself. Research shows the environment even takes a toll on the prison staff. Frequent staff shortages can mean individuals don’t get out of their cells as often, which can add even more stress to their daily lives. This can create a cycle of stress that is tough to break.

Exposure to Violence

Incarcerated individuals are often exposed to violence while behind bars. They may witness fights breaking out at meal times or during recreation times. They may also witness acts of violence between guards and incarcerated peers, or they may become victims of aggression. Research shows that exposure to violence while in prison creates emotional distress. In addition, exposure to violence has a direct impact on how well individuals adjust to life outside of prison after they’re released. Those who are exposed to greater acts of violence are more likely to have trouble settling back into the community.

Solitary Confinement

Whether individuals are placed in solitary confinement due to disciplinary issues or they’re segregated because of a safety issue, being locked up alone for 23 hours a day can take a serious toll on a person’s well-being. For years the American Civil Liberties Union (ACLU) and other organizations have sought to have solitary confinement banned as a human rights violation, but the practice is still fairly common in the U.S. Researchers have found that the vast majority of individuals who are placed in solitary confinement have “serious mental illness.” These conditions may be why they exhibited behavioral issues in the first place. Solitary confinement can exacerbate symptoms. But others are likely to develop mental health issues as a result of the extreme isolation. Studies show solitary confinement increases the risk of anxiety, insomnia, paranoia, aggression, and depression.

Lack of Treatment

Even when mental health concerns are known, disorders often go untreated. Most prisons lack the funds to offer adequate mental health treatment. Those who do offer services of some kind may be limited in the types of treatments they provide. Additionally, services in prison may not be all that effective. It’s tough for individuals to open up to someone when they lack physical and psychological safety. A 2014 study published in the American Journal of Public Health found that 26% of inmates were diagnosed with a mental health condition at some point during their lives. Only about 18% of them were taking medication for their condition when they became incarcerated. Of those who were taking medication, less than 50% were prescribed medication during their admission. Inmates with schizophrenia were more likely to receive medication as compared to those with other mental health conditions, like depression. Although courts mandate adequate treatment for mental health care, treatment is usually reserved for diagnoses that are considered the most serious. Medications are often expensive, and quite often, in an effort to save costs, prescriptions are not made readily available. Specialized treatment is rarely available in prisons. And generic groups or services may not be able to assist with specific conditions. Additionally, most prisons do not provide adequate access to treatment providers. So incarcerated individuals’ conditions often go unrecognized. Quite often, inmates are given simple screening questionnaires to complete at intake. They aren’t assessed by a mental health professional at all and likely never come into contact with one throughout their time in prison.

Consequences of Inadequate Treatment

The consequences of inadequate mental health care contribute greatly to the suffering of the affected individuals and their families. Untreated psychiatric conditions among the prison population even takes a toll on society financially, in the form of taxpayers’ money. A 2020 study looked at the rates of recidivism among individuals who were released from prison. Those who reported poor mental health in prison were more likely to recidivate than those who had average mental health during their sentence. The rates of recidivism were between 33% and 68% higher for people with poor in-prison mental health than for their peers.

State Hospital Closures

Since the 1970s, there has been a big push toward the deinstitutionalization of individuals with mental health issues. On the surface, closing “asylums” and institutions that housed people with severe psychiatric conditions seemed like a good idea. Many of the institutions were understaffed and unable to give patients the individual treatments they needed. So rather than reside in a state-run hospital, many individuals with mental health issues now spend much of their time in jail. According to research conducted by The Treatment Advocacy Center, the number of individuals with “serious mental illness” is now 10 times higher in jails than in state psychiatric hospitals.

A Word From Verywell

Anyone who is facing incarceration should consider revealing any pre-existing mental health conditions. Disclosing those issues may increase the likelihood of accessing treatment. But bigger changes are needed at the systemic and legal levels. Better access to mental health services overall may prevent crime. Treating people during incarceration and providing access to ongoing treatment after they’re released may reduce recidivism rates.